Agenda and minutes

Ramsbottom, Tottington and North Manor Township Forum - Thursday, 16th January, 2014 7.00 pm

Please let us know if you are planning to attend and have any access requirements or other needs which we need to take account of.

Venue: Church Hall, Christ Church, Walmersley

Contact: Andrea Tomlinson, 0161 253 5133, Email: 

No. Item



Members of the Township Forum are asked to consider whether they have an interest in any of the matters on the Agenda and if so, to formally declare that interest.


There were no declarations of interest made at the meeting.




The Minutes of the Meeting held on 14 November 2013 are attached.


It was agreed:


That the Minutes of the last Meeting of the Township Forum held on 14 November 2013 be approved as a correct record.





It was agreed:


Councillor Bevan referred to Minute RTNM.520 - Matters Arising and explained that response he had received from Chief Superintendent Forber at Bury Division of GMP had been circulated at the meeting this evening.


Dave Thomas referred to RTNM.524 - Public Question Time and the question that had been raised by Mr Booth regarding the future of the Council's sponsorship of Bury Football Club.


Dave explained that he had raised this question with Council Officers and had been told that the sponsorship was currently in the final season and to date, no decision had been made on whether sponsorship would continue going forward.




An update will be given at the meeting.


It was reported that since the last Township Forum Meeting in November 2013, there had been an application made to become a member of the Advisory Group from Reverend Steve Openshaw.


It was explained that the application form had been circulated to all councillors and the application had been approved.


Reverend Openshaw introduced himself to the forum and explained that he was representing Ramsbottom & Edenfield Team Ministry and Churches together in Ramsbottom.


It was agreed:


That Reverend Openshaw be welcomed as a member of the Township Forum Advisory Group.




Scott Alker from the Carers Centre will give a presentation.





Scott Alker from Bury Carers Centre attended the meeting to introduce the work of the Carers Centre to the Forum.


Scott explained that the centre worked with unpaid carers who were described as a family member, friend or neighbour who offered support to somebody that needed it. It could be a husband caring for a wife 24 hours a day or a neighbour who visits to help with getting up and bathing etc.


Many unpaid carers didn't identify with the fact that they were carers as they felt that was something that they would just do.


It was explained that there were currently an estimated 7 million unpaid carers in the UK saving the country an estimated £87 billion in caring costs.


In Bury, the 2011 census showed that there were just under 20 000 unpaid carers but of this figure just 2950 were registered with the Carers Centre.

== Misplaced records of crystals ==
<<<
# 1
Starting from a structure optimized by DFT (PBE), the X-ray diffraction stick pattern of Pm2Be3Pt4 was simulated for Cu Kα, 1.54184 Å.
Peak positions follow from Bragg's law for the DFT cell and can differ from measured ones.

Peak list (12 most intense, 10 to 80 degrees two-theta, sorted by position)
2θ 14.2, rel. 16; 2θ 28.7, rel. 58; 2θ 33.5, rel. 50; 2θ 34.7, rel. 70; 2θ 40.5, rel. 100; 2θ 44.7, rel. 37; 2θ 60.6, rel. 14; 2θ 63.0, rel. 32; 2θ 64.6, rel. 26; 2θ 68.7, rel. 10; 2θ 71.3, rel. 12; 2θ 78.6, rel. 14

Structure:
Cell lengths 7.7113, 6.7677, 5.2915 Å; angles 78.45, 59.30, 42.25 degrees
Fractional coordinates of all 9 atoms:
Pm 0.1479 0.1479 0.8521
Pm 0.8521 0.8521 0.1479
Be 0.0000 0.0000 0.5000
Be 0.5000 0.5000 0.0000
Be 0.5000 0.5000 0.5000
Pt 0.1913 0.5261 0.4739
Pt 0.4739 0.8087 0.1913
Pt 0.5261 0.1913 0.8087
Pt 0.8087 0.4739 0.5261

# 2
Starting from a structure optimized by DFT (PBE), the X-ray diffraction stick pattern of Pm3Be2SbPt9 was simulated for Cu Kα, 1.54184 Å.
Peak positions follow from Bragg's law for the DFT cell and can differ from measured ones.

Peak list (12 most intense, 10 to 80 degrees two-theta, sorted by position)
2θ 28.2, rel. 39; 2θ 33.3, rel. 11; 2θ 36.5, rel. 100; 2θ 37.9, rel. 12; 2θ 40.1, rel. 92; 2θ 45.7, rel. 12; 2θ 52.7, rel. 19; 2θ 60.8, rel. 14; 2θ 63.1, rel. 27; 2θ 70.5, rel. 18; 2θ 75.1, rel. 12; 2θ 77.5, rel. 17

Structure:
Cell lengths 5.8926, 5.8926, 9.4889 Å; angles 90.00, 90.00, 120.00 degrees
Fractional coordinates of all 15 atoms:
Pm 0.0000 0.0000 0.0000
Pm 0.3333 0.6667 0.6370
Pm 0.6667 0.3333 0.3630
Be 0.3333 0.6667 0.1441
Be 0.6667 0.3333 0.8559
Sb 0.0000 0.0000 0.5000
Pt 0.0000 0.5000 0.0000
Pt 0.1653 0.3307 0.2851
Pt 0.1653 0.8347 0.2851
Pt 0.3307 0.1653 0.7149
Pt 0.5000 0.0000 0.0000
Pt 0.5000 0.5000 0.0000
Pt 0.6693 0.8347 0.2851
Pt 0.8347 0.1653 0.7149
Pt 0.8347 0.6693 0.7149

# 3
Starting from a structure optimized by DFT (PBE), the X-ray diffraction stick pattern of PmScBe2Pt5 was simulated for Cu Kα, 1.54184 Å.
Peak positions follow from Bragg's law for the DFT cell and can differ from measured ones.

Peak list (12 most intense, 10 to 80 degrees two-theta, sorted by position)
2θ 26.9, rel. 58; 2θ 31.2, rel. 11; 2θ 32.5, rel. 50; 2θ 36.2, rel. 100; 2θ 41.6, rel. 13; 2θ 44.7, rel. 41; 2θ 52.9, rel. 37; 2θ 56.3, rel. 33; 2θ 65.1, rel. 14; 2θ 71.8, rel. 15; 2θ 73.8, rel. 11; 2θ 76.8, rel. 24

Structure:
Cell lengths 4.0525, 4.0525, 9.9570 Å; angles 90.00, 90.00, 90.00 degrees
Fractional coordinates of all 9 atoms:
Pm 0.0000 0.0000 0.0000
Sc 0.0000 0.0000 0.5000
Be 0.5000 0.5000 0.2207
Be 0.5000 0.5000 0.7793
Pt 0.0000 0.5000 0.3107
Pt 0.0000 0.5000 0.6893
Pt 0.5000 0.0000 0.3107
Pt 0.5000 0.0000 0.6893
Pt 0.5000 0.5000 0.0000

# 4
Starting from a structure optimized by DFT (PBE), the X-ray diffraction stick pattern of PmBe2Rh2 was simulated for Cu Kα, 1.54184 Å.
Peak positions follow from Bragg's law for the DFT cell and can differ from measured ones.
>>>


The Carers Centre is a charity which is funded by Bury Council, the Clinical Commissioning Group and from regular fundraising and the purpose of the centre was to offer support to carers across the borough.


The centre provides activities, advice, support networks, training courses, help with benefit forms and legal advice, days away and more and carries out work both at the Centre in Bury Town Centre and in locations across the borough so that the work undertaken can be accessed easily. It was also explained that they had recently started providing support at Fairfield General Hospital so that carers who were visiting the people they cared for could be introduced to the Carers Centre.


Scott asked that all those present at the meeting took away a leaflet so that they could pass on the details of the Carers Centre to anybody who may benefit from it and also to promote the services as widely as possible. The Centre was looking for any opportunity to raise its profile in order that as many people as possible were aware of the support and services provided.


Those present were given the opportunity to ask questions or make comments and the following points were raised:-


·                     Councillor Daly explained that he was the Chairman of the Bury Relief and Sickness Fund who provided donations to carers to assist them to take much needed breaks and stated that he should meet with Scott to discuss how they could work together in this area.


·                     A Member of the public present asked how people would find out about the Centre and the services it provides.


Scott explained that here were a number of ways that a person would be referred through Adult Care Services, other carers, other agencies, from leaflets in public places, website and word of mouth.


·                     Judith Kelly asked whether the cared for could access the service.


Scott explained that the Carers Centre role was to support carers but, there were a few events where carers could attend with the people they cared for such as coffee mornings.


·                     Councillor Fitzwalter asked whether the centre worked with  ...  view the full minutes text for item RTNM.680



A representative from Greater Manchester Police will give an update at the meeting.





Inspector Lorraine Crossman attended the meeting to introduce herself to the Forum and to answer any questions that those present may have.


Lorraine explained that she had taken over from Inspector Williams and had been in post for a month. Prior to this position Lorraine had worked in other areas of Bury and also in Manchester City Centre and areas around there such as Gorton and Blackley.


Those present were given the opportunity to ask questions and make comments and the following points were raised:-


·                     Mr Booth, a resident from Ramsbottom explained that there had been ongoing issues with vandalism of local properties and anti social behaviour by some of the pupils at Summerseat Pupil Learning Centre. Mr Booth asked that the police carry out some work in this area.


Inspector Crossman explained that she would gather more information from Mr Booth on the incidents he was referring to and then decide how to move forward. There would be a number of options that could be considered and these would be reviewed.


Councillor Daly reported that he had visited the school with Councillor Hussain to discuss areas of concern. One of the issues discussed was the behaviour of some of the pupils when accessing and leaving the premises and the possibility of a teacher chaperoning them to and from the bus stop.


·                     Councillor Fitzwalter explained that she had attended the Ramsbottom Business Group meeting prior to the Township Forum and one of the areas of concern raised had been the question of who was policing Ramsbottom Centre.


Inspector Crossman explained that one of her first jobs once in post had been to review policing of all areas and make any changes that were required. A PCSO had been identified for the area and was due to commence working in Ramsbottom in mid February and beat officers would have a weekend presence in Ramsbottom at weekend evening through to 3am.


·                     Councillor Fitzwalter also referred to the lack of any PACT meetings for the previous 6 months and asked that this be rectified as soon as possible.


·                     Councillor Gunther explained that she had been informed that there was an issue with people dealing drugs from the Waterside car park in Summerseat and asked that this be investigated.


Inspector Crossman asked that any incidents such as these are reported to the local police and that she would take this information back with her.


·                     Dr Binns explained that there were ongoing issues in both Affetside and Holcombe Villages with speeding vehicles. There had been the promise of a speeding exercise being carried out by the police in both villages but this hadn't happened as yet. Dr Binns asked if this could be done soon.


·                     Mr Graham, a resident of Tottington explained that he had attended the meeting specifically to ask that the practice of vehicles parking on the double white lines on the bend of Chapel Street in Tottington is stopped. This was a danger to other road users and had been  ...  view the full minutes text for item RTNM.681



A presentation will be given at the meeting.


Dave Thomas, the Township Co-ordinator gave an update on the work that had been carried out and the achievements made since the round table event that had been undertaken by the Township Forum at its first meeting of the Municipal Year in June 2013.


The priorities that the plan had focussed on were set out and Dave explained what had been carried out within each of these.


There had been a number of apprentices taken on within the Council, two of which were from the Township Forum areas and there were due to be another cohort starting within the next few weeks, Interviews were due to be held within the next few weeks and Dave was aware that 6 of the applicants were from the Township areas.


The Bury North Partnership Action Group had been launched alongside the Council and the Police as well as other organisations. This had now been established for 6 months and had been very successful to date.


The Be Safe, Be Cool campaign that visited schools to talk about the impact of anti social behaviour was due to start visiting schools again soon due to the success of the previous campaign. 


A mapping exercise was in the process of being produced by the community learning partnership to identify learning needs across the townships.


Dave explained that he would be setting up some task and finish groups in the near future to expand on the work already undertaken and he would be in touch with the advisory group members about this.


It was agreed:-


That Dave be thanked for his update




Members of the public present are invited to ask questions or raise issues of concern relating to the provision of local services.



·                     Dr Binns explained that Holcombe Village had requested installation of a mirror at the top of The Rake in the Village. Highways had been to inspect the area but had explained that it would need to be installed ion private land and they would not be able to fund this. Dr Binns asked if Holcombe Society could apply for funding.


Dave stated that he would take this request back to the relevant officer.


·                     Outside of the meeting, a member of the public asked that the double yellow lines on School Lane in Walmersley be reinstated as they had worn away and the vehicles parking on the lane were causing difficulties to local residents and issues with traffic entering the lane from the main road.




Any other business which by reason of circumstances the Chair agrees may be considered as a matter of urgency.


Councillor Bevan referred to the Core Strategy that had recently been produced and consulted on. There was a public meeting due to be with the Planning Inspectorate on 25 February in the Elizabethan Suite at Bury Town Hall. Councillor Bevan asked that if anybody was interested in attending this meeting he would be able to provide them with the details.


 (Note: This item which did not appear on the agenda was allowed by the Chair to be considered as a matter of urgency in order to make people aware of the public meeting with the Planning Inspectorate at the earliest opportunity)